Entries =
=====
# 1
! LiEr5Te6 | the Alexandria database | PBE | optimized geometry; values from VASP
&SYSTEM
  ibrav = 0, nat = 12, ntyp = 3
/
ATOMIC_SPECIES
Li 6.94 Li.upf
Er 167.26 Er.upf
Te 127.60 Te.upf
CELL_PARAMETERS angstrom
3.722 -6.443 0.000
3.722 6.443 0.000
-2.489 0.000 7.038
ATOMIC_POSITIONS angstrom
Li 0.000 0.000 0.000
Er 2.477 4.254 3.519
Er 3.722 2.114 0.000
Er 2.477 0.000 3.519
Er 3.722 -2.114 0.000
Er 2.477 -4.254 3.519
Te 1.196 2.087 1.716
Te -0.090 0.000 5.310
Te 1.196 -2.087 1.716
Te 3.758 2.087 5.323
Te 5.044 0.000 1.729
Te 3.758 -2.087 5.323
! Symmetry ... C2/m (12)
! ΔE_f (raw) ... -1254 meV per atom
! DOS(E_F) ... 5.18 states/eV per cell
! Volume ... 28.13 Å³ per atom

---

# 2
! LiEr2Te4 | the Alexandria database | PBE | optimized geometry; values from VASP
&SYSTEM
  ibrav = 0, nat = 7, ntyp = 3
/
ATOMIC_SPECIES
Li 6.94 Li.upf
Er 167.26 Er.upf
Te 127.60 Te.upf
CELL_PARAMETERS angstrom
7.962 -2.120 0.000
7.962 2.120 0.000
-3.393 0.000 6.548
ATOMIC_POSITIONS angstrom
Li 0.000 0.000 0.000
Er 3.171 0.000 1.697
Er 9.360 0.000 4.851
Te 0.381 0.000 2.942
Te 5.859 0.000 0.253
Te 6.673 0.000 6.295
Te 12.150 0.000 3.606
! Symmetry ... C2/m (12)
! ΔE_f (raw) ... -1161 meV per atom
! DOS(E_F) ... 2.94 states/eV per cell
! Volume ... 31.57 Å³ per atom

---

# 3
! LiEr5Te4 | the Alexandria database | PBE | optimized geometry; values from VASP
&SYSTEM
  ibrav = 0, nat = 10, ntyp = 3
/
ATOMIC_SPECIES
Li 6.94 Li.upf
Er 167.26 Er.upf
Te 127.60 Te.upf
CELL_PARAMETERS angstrom
8.953 -2.057 0.000
8.953 2.057 0.000
-1.743 0.000 8.075
ATOMIC_POSITIONS angstrom
Li 0.000 0.000 0.000
Er -0.872 0.000 4.037
Er 4.497 0.000 5.160
Er 5.569 0.000 1.632
Er 10.595 0.000 6.442
Er 11.667 0.000 2.914
Te 2.764 0.000 0.552
Te 7.505 0.000 6.118
Te 8.659 0.000 1.957
Te 13.400 0.000 7.523
! Symmetry ... C2/m (12)
! ΔE_f (raw) ... -864 meV per atom
! DOS(E_F) ... 7.26 states/eV per cell
! Volume ... 29.74 Å³ per atom

---

# 4
! LiEr3Te4 | the Alexandria database | PBE | optimized geometry; values from VASP
&SYSTEM
  ibrav = 0, nat = 8, ntyp = 3
/
ATOMIC_SPECIES
Li 6.94 Li.upf
Er 167.26 Er.upf
Te 127.60 Te.upf
CELL_PARAMETERS angstrom
-3.044 3.044 6.082
3.044 -3.044 6.082
3.044 3.044 -6.082
ATOMIC_POSITIONS angstrom
Li 0.000 0.000 0.000
Er 3.044 0.000 3.041
Er 0.000 0.000 6.082
Er 0.000 3.044 3.041
Te 3.044 0.000 0.000
Te 0.000 0.000 2.963
Te 0.000 3.044 0.000
Te 0.000 0.000 9.200
! Symmetry ... I4/mmm (139)
! ΔE_f (raw) ... -1264 meV per atom
! DOS(E_F) ... 2.39 states/eV per cell
! Excess energy over the best structure of this formula in the dataset ... 0.000 eV/atom
! Volume ... 28.17 Å³ per atom

---

# 5
! LiEr2Te3 | the Alexandria database | PBE | optimized geometry; values from VASP
&SYSTEM
  ibrav = 0, nat = 6, ntyp = 3
/
ATOMIC_SPECIES
Li 6.94 Li.upf
Er 167.26 Er.upf
Te 127.60 Te.upf
CELL_PARAMETERS angstrom
-2.135 3.053 6.460
2.135 -3.053 6.460
2.135 3.053 -6.460
ATOMIC_POSITIONS angstrom
Li 0.000 0.000 0.000
Er 0.000 0.000 4.288
Er 0.000 0.000 8.631
Te 2.135 0.000 2.073
Te 0.000 3.053 0.000
Te 0.000 3.053 4.387
! Symmetry ... Immm (71)
! ΔE_f (raw) ... -1268 meV per atom
! DOS(E_F) ... 1.95 states/eV per cell
! Volume ... 28.06 Å³ per atom

---

# 6
! LiErTe | the Alexandria database | PBE | optimized geometry; values from VASP
&SYSTEM
  ibrav = 0, nat = 3, ntyp = 3
/
ATOMIC_SPECIES
Li 6.94 Li.upf
Er 167.26 Er.upf
Te 127.60 Te.upf
CELL_PARAMETERS angstrom
4.411 0.000 0.000
-2.205 3.820 0.000
0.000 0.000 3.930
ATOMIC_POSITIONS angstrom
Li 0.000 0.000 0.000
Er 2.205 1.273 1.965
Te 0.000 2.547 0.000
! Symmetry ... P-6m2 (187)
! ΔE_f (raw) ... -804 meV per atom
! DOS(E_F) ... 0.33 states/eV per cell
! Volume ... 22.07 Å³ per atom

---

# 7
! LiEr3Te4 | the Alexandria database | PBE | optimized geometry; values from VASP
&SYSTEM
  ibrav = 0, nat = 16, ntyp = 3
/
ATOMIC_SPECIES
Li 6.94 Li.upf
Er 167.26 Er.upf
Te 127.60 Te.upf
CELL_PARAMETERS angstrom
9.726 0.000 0.000
0.000 8.834 0.000
0.000 0.000 6.074
ATOMIC_POSITIONS angstrom
Li 0.000 0.831 0.000
=====
Request =
Now repeat the contents earlier on from the first line to the one with "4.288" with every line break kept.
Worked solution =
# 1
! LiEr5Te6 | the Alexandria database | PBE | optimized geometry; values from VASP
&SYSTEM
  ibrav = 0, nat = 12, ntyp = 3
/
ATOMIC_SPECIES
Li 6.94 Li.upf
Er 167.26 Er.upf
Te 127.60 Te.upf
CELL_PARAMETERS angstrom
3.722 -6.443 0.000
3.722 6.443 0.000
-2.489 0.000 7.038
ATOMIC_POSITIONS angstrom
Li 0.000 0.000 0.000
Er 2.477 4.254 3.519
Er 3.722 2.114 0.000
Er 2.477 0.000 3.519
Er 3.722 -2.114 0.000
Er 2.477 -4.254 3.519
Te 1.196 2.087 1.716
Te -0.090 0.000 5.310
Te 1.196 -2.087 1.716
Te 3.758 2.087 5.323
Te 5.044 0.000 1.729
Te 3.758 -2.087 5.323
! Symmetry ... C2/m (12)
! ΔE_f (raw) ... -1254 meV per atom
! DOS(E_F) ... 5.18 states/eV per cell
! Volume ... 28.13 Å³ per atom

---

# 2
! LiEr2Te4 | the Alexandria database | PBE | optimized geometry; values from VASP
&SYSTEM
  ibrav = 0, nat = 7, ntyp = 3
/
ATOMIC_SPECIES
Li 6.94 Li.upf
Er 167.26 Er.upf
Te 127.60 Te.upf
CELL_PARAMETERS angstrom
7.962 -2.120 0.000
7.962 2.120 0.000
-3.393 0.000 6.548
ATOMIC_POSITIONS angstrom
Li 0.000 0.000 0.000
Er 3.171 0.000 1.697
Er 9.360 0.000 4.851
Te 0.381 0.000 2.942
Te 5.859 0.000 0.253
Te 6.673 0.000 6.295
Te 12.150 0.000 3.606
! Symmetry ... C2/m (12)
! ΔE_f (raw) ... -1161 meV per atom
! DOS(E_F) ... 2.94 states/eV per cell
! Volume ... 31.57 Å³ per atom

---

# 3
! LiEr5Te4 | the Alexandria database | PBE | optimized geometry; values from VASP
&SYSTEM
  ibrav = 0, nat = 10, ntyp = 3
/
ATOMIC_SPECIES
Li 6.94 Li.upf
Er 167.26 Er.upf
Te 127.60 Te.upf
CELL_PARAMETERS angstrom
8.953 -2.057 0.000
8.953 2.057 0.000
-1.743 0.000 8.075
ATOMIC_POSITIONS angstrom
Li 0.000 0.000 0.000
Er -0.872 0.000 4.037
Er 4.497 0.000 5.160
Er 5.569 0.000 1.632
Er 10.595 0.000 6.442
Er 11.667 0.000 2.914
Te 2.764 0.000 0.552
Te 7.505 0.000 6.118
Te 8.659 0.000 1.957
Te 13.400 0.000 7.523
! Symmetry ... C2/m (12)
! ΔE_f (raw) ... -864 meV per atom
! DOS(E_F) ... 7.26 states/eV per cell
! Volume ... 29.74 Å³ per atom

---

# 4
! LiEr3Te4 | the Alexandria database | PBE | optimized geometry; values from VASP
&SYSTEM
  ibrav = 0, nat = 8, ntyp = 3
/
ATOMIC_SPECIES
Li 6.94 Li.upf
Er 167.26 Er.upf
Te 127.60 Te.upf
CELL_PARAMETERS angstrom
-3.044 3.044 6.082
3.044 -3.044 6.082
3.044 3.044 -6.082
ATOMIC_POSITIONS angstrom
Li 0.000 0.000 0.000
Er 3.044 0.000 3.041
Er 0.000 0.000 6.082
Er 0.000 3.044 3.041
Te 3.044 0.000 0.000
Te 0.000 0.000 2.963
Te 0.000 3.044 0.000
Te 0.000 0.000 9.200
! Symmetry ... I4/mmm (139)
! ΔE_f (raw) ... -1264 meV per atom
! DOS(E_F) ... 2.39 states/eV per cell
! Excess energy over the best structure of this formula in the dataset ... 0.000 eV/atom
! Volume ... 28.17 Å³ per atom

---

# 5
! LiEr2Te3 | the Alexandria database | PBE | optimized geometry; values from VASP
&SYSTEM
  ibrav = 0, nat = 6, ntyp = 3
/
ATOMIC_SPECIES
Li 6.94 Li.upf
Er 167.26 Er.upf
Te 127.60 Te.upf
CELL_PARAMETERS angstrom
-2.135 3.053 6.460
2.135 -3.053 6.460
2.135 3.053 -6.460
ATOMIC_POSITIONS angstrom
Li 0.000 0.000 0.000
Er 0.000 0.000 4.288